_Contents_
~~~
No. 1
## VFeSe (GGA-PBE)

Data for a relaxed VFeSe crystal.

The formation energy is -0.314 eV per atom. As for the total energy after the MP2020 corrections: -0.2694 hartree per atom. As for the energy: -7.173 eV per atom. Its crystal system is cubic.

The structure belongs to space group F-43m (No. 216); the cell edges are 5.574, 5.574 and 5.574 Å and the angles 90.00°, 90.00° and 90.00°. The distinct sites, in fractional coordinates, are V at (0.000, 0.000, 0.000), Fe at (0.250, 0.250, 0.250) and Se at (0.000, 0.000, 0.500).

No. 2
## ScH8N3F6 (GGA-PBE)

Data for a relaxed ScH8N3F6 crystal.

The formation energy is -1.332 eV per atom. As for the total energy after the MP2020 corrections: -0.1918 hartree per atom. As for the energy: -5.065 eV per atom. Its crystal system is monoclinic.

The structure belongs to space group P2_1/c (No. 14); the cell edges are 6.521, 6.519 and 11.478 Å and the angles 90.00°, 124.13° and 90.00°. The distinct sites, in fractional coordinates, are Sc at (0.000, 0.000, 0.000), H at (0.108, 0.075, 0.663), H at (0.215, 0.666, 0.229), H at (0.251, 0.030, 0.837), H at (0.418, 0.021, 0.765), N at (0.247, 0.511, 0.249), N at (0.500, 0.000, 0.500), F at (0.101, 0.735, 0.953), F at (0.235, 0.155, 0.967) and F at (0.281, 0.546, 0.706).

No. 3
## Ca2Mg (GGA-PBE)

Data for a relaxed Ca2Mg crystal.

The formation energy is 0.030 eV per atom. As for the energy: -1.840 eV per atom. Its crystal system is trigonal.

The structure belongs to space group R32 (No. 155, hexagonal axes); the cell edges are 6.3688, 6.3688 and 18.1771 Å and the angles 90.00°, 90.00° and 120.00°. The distinct sites, in fractional coordinates, are Ca at (0.0000, 0.0000, 0.0000), Ca at (0.0000, 0.6715, 0.5000) and Mg at (0.0000, 0.0000, 0.3334).
~~~

_Exercise_
Now give back the whole of the rows further up character by character.

_Response_
No. 1
## VFeSe (GGA-PBE)

Data for a relaxed VFeSe crystal.

The formation energy is -0.314 eV per atom. As for the total energy after the MP2020 corrections: -0.2694 hartree per atom. As for the energy: -7.173 eV per atom. Its crystal system is cubic.

The structure belongs to space group F-43m (No. 216); the cell edges are 5.574, 5.574 and 5.574 Å and the angles 90.00°, 90.00° and 90.00°. The distinct sites, in fractional coordinates, are V at (0.000, 0.000, 0.000), Fe at (0.250, 0.250, 0.250) and Se at (0.000, 0.000, 0.500).

No. 2
## ScH8N3F6 (GGA-PBE)

Data for a relaxed ScH8N3F6 crystal.

The formation energy is -1.332 eV per atom. As for the total energy after the MP2020 corrections: -0.1918 hartree per atom. As for the energy: -5.065 eV per atom. Its crystal system is monoclinic.

The structure belongs to space group P2_1/c (No. 14); the cell edges are 6.521, 6.519 and 11.478 Å and the angles 90.00°, 124.13° and 90.00°. The distinct sites, in fractional coordinates, are Sc at (0.000, 0.000, 0.000), H at (0.108, 0.075, 0.663), H at (0.215, 0.666, 0.229), H at (0.251, 0.030, 0.837), H at (0.418, 0.021, 0.765), N at (0.247, 0.511, 0.249), N at (0.500, 0.000, 0.500), F at (0.101, 0.735, 0.953), F at (0.235, 0.155, 0.967) and F at (0.281, 0.546, 0.706).

No. 3
## Ca2Mg (GGA-PBE)

Data for a relaxed Ca2Mg crystal.

The formation energy is 0.030 eV per atom. As for the energy: -1.840 eV per atom. Its crystal system is trigonal.

The structure belongs to space group R32 (No. 155, hexagonal axes); the cell edges are 6.3688, 6.3688 and 18.1771 Å and the angles 90.00°, 90.00° and 120.00°. The distinct sites, in fractional coordinates, are Ca at (0.0000, 0.0000, 0.0000), Ca at (0.0000, 0.6715, 0.5000) and Mg at (0.0000, 0.0000, 0.3334).